How To: Access Speaker Tools as a Speaker


For remote speakers, and in particular, remote moderators attending a virtual/hybrid event, they have the opportunity to access the back-end of the event platform to:

  • Access and/or answer/manage audience questions

  • View the audience chat stream

  • Create / Launch audience polls

  • View the session agenda, and read speaker biographies.



  • The event platform has been discussed between the account manager and event organiser, deciding on assets and functionality

  • The 'Watch Live' section for the live stream has been created by the account manager.



  1. Follow the platform URL link sent by your account manager to access your platform.

  2. Once on the platform, consult your login information (sent by account manager) and click the 'Log In' button on the top right of your browser. Once on the log in page, fill in your email and password information.


  3. Once on the log in page, fill in your email and password information.



  4. Now that you've logged in, move your cursor to the 'Watch Live' button.


  5. You have now entered the live stream section of the platform. The large window in the middle of the browser is where the live stream will play during the event. 

    If these items are included, the delegate 'chat' will be located to the right of the window and a 'Question' section lower down the page.


  6. Above the live stream window, click the coloured icon that that reads 'ACCESS SPEAKER TOOLS'.

  7. You have now entered the 'back-end' of the platform. This area is used to control admin only elements of the platform, including chat, delegate questions, polling and more.

    This specific area of the back-end, referred to as 'speaker tools', contains useful items that be accessed by speakers during the event. 


  8. The live stream can still be viewed in this area. The window is much smaller and can be paused at any time.

  9. If delegates will be entering questions during the live stream, they will slowly start to appear in the 'Questions' section. You will be able to read the questions, the item it's connected to and the delegates name.

(Inserted here: crystal structures)
'''
(1)
Diffraction record for Li2V3O4F4. The XRD peak list is simulated, not measured: it uses the GGA+U geometry in the Materials Project and Cu Kα.
Peak positions follow from Bragg's law for the DFT cell and can differ from measured ones.

Cell and atoms:
```
data_Li2V3O4F4
_cell_length_a 19.574
_cell_length_b 6.113
_cell_length_c 5.010
_cell_angle_alpha 90.00
_cell_angle_beta 91.94
_cell_angle_gamma 90.00
_symmetry_space_group_name_H-M 'C 1 m 1'
_symmetry_Int_Tables_number 8
loop_
_symmetry_equiv_pos_as_xyz
'x,y,z'
'x,-y,z'
'x+1/2,y+1/2,z'
'x+1/2,-y+1/2,z'
loop_
_atom_site_label
_atom_site_fract_x
_atom_site_fract_y
_atom_site_fract_z
_atom_site_occupancy
Li1 0.000 0.000 0.000 1
Li2 0.000 0.500 0.002 1
Li3 0.300 0.250 0.904 1
V1 0.142 0.250 0.938 1
V2 0.248 0.000 0.439 1
V3 0.248 0.500 0.439 1
V4 0.386 0.250 0.500 1
O1 0.186 0.000 0.154 1
O2 0.186 0.500 0.155 1
O3 0.214 0.249 0.659 1
O4 0.300 0.250 0.276 1
O5 0.332 0.000 0.678 1
O6 0.332 0.500 0.678 1
F1 0.059 0.251 0.136 1
F2 0.096 0.000 0.740 1
F3 0.096 0.500 0.739 1
F4 0.431 0.000 0.305 1
F5 0.431 0.500 0.305 1
F6 0.451 0.250 0.799 1
```

Peak list (10 most intense, 10° ≤ 2θ ≤ 90°, in order of rising 2θ)
2θ/deg  I/Imax
18.1  21
19.6  100
20.2  81
32.3  31
33.3  26
34.6  26
35.8  29
38.8  54
50.2  26
51.2  24

---

(2)
Diffraction record for LiVOF3. The XRD peak list is simulated, not measured: it uses the GGA+U geometry in the Materials Project and Cu Kα.
Peak positions follow from Bragg's law for the DFT cell and can differ from measured ones.

Cell and atoms:
```
data_LiVOF3
_cell_length_a 5.144
_cell_length_b 6.033
_cell_length_c 9.903
_cell_angle_alpha 90.00
_cell_angle_beta 90.00
_cell_angle_gamma 90.00
_symmetry_space_group_name_H-M 'P 21 21 21'
_symmetry_Int_Tables_number 19
loop_
_symmetry_equiv_pos_as_xyz
'x,y,z'
'-x+1/2,-y,z+1/2'
'x+1/2,-y+1/2,-z'
'-x,y+1/2,-z+1/2'
loop_
_atom_site_label
_atom_site_fract_x
_atom_site_fract_y
_atom_site_fract_z
_atom_site_occupancy
Li1 0.070 0.170 0.369 1
V1 0.191 0.367 0.906 1
O1 0.129 0.838 0.478 1
F1 0.003 0.269 0.760 1
F2 0.052 0.507 0.288 1
F3 0.213 0.647 0.993 1
```

Peak list (10 most intense, 10° ≤ 2θ ≤ 90°, in order of rising 2θ)
2θ/deg  I/Imax
17.2  68
22.7  78
23.2  56
24.5  47
25.0  100
35.6  73
39.5  41
40.5  24
44.3  34
58.6  29

---

(3)
Diffraction record for LiV3O5F. The XRD peak list is simulated, not measured: it uses the GGA+U geometry in the Materials Project and Cu Kα.
Peak positions follow from Bragg's law for the DFT cell and can differ from measured ones.

Cell and atoms:
```
data_LiV3O5F
_cell_length_a 5.095
_cell_length_b 5.520
_cell_length_c 8.983
_cell_angle_alpha 107.59
_cell_angle_beta 90.35
_cell_angle_gamma 116.33
_symmetry_space_group_name_H-M 'P 1'
_symmetry_Int_Tables_number 1
loop_
_symmetry_equiv_pos_as_xyz
'x,y,z'
loop_
_atom_site_label
_atom_site_fract_x
_atom_site_fract_y
_atom_site_fract_z
_atom_site_occupancy
Li1 0.000 0.000 0.000 1
Li2 0.476 0.993 0.495 1
V1 0.108 0.163 0.342 1
V2 0.301 0.546 0.747 1
'''

    You have the option to write an answer to the question by clicking the 'Respond' button.

Unrelated to this entry: crystal structures:
~~~
(1)
Diffraction record for Ti3CuSn2P6O24. The X-ray powder pattern is computed, not measured: it uses DFT lattice parameters and positions (GGA-PBE) and λ = 1.5418 Å (Cu Kα).
Lines closer than 0.1° are merged.

Largest 8 diffraction maxima, in order of falling intensity, 2θ = 10–90°:
2θ/deg  I (rel.)
20.52  100
31.57  100
23.74  70
48.58  41
35.95  37
61.89  32
25.05  28
56.24  27

```
36
Lattice="4.3272 2.4983 7.4995 -4.3272 2.4983 7.4995 0.0000 -4.9967 7.4995" Properties=species:S:1:pos:R:3 pbc="T T T"
Ti 0.0000 0.0000 0.0000
Ti 0.0000 0.0000 4.6781
Ti 0.0000 0.0000 11.3853
Cu 0.0000 0.0000 15.8373
Sn 0.0000 0.0000 8.0345
Sn 0.0000 0.0000 18.9777
P -3.0715 0.3604 9.8757
P -1.2512 -2.1693 13.6649
P 1.2236 -2.8402 9.8757
P -1.2531 2.1683 13.6649
P 1.8479 2.4798 9.8757
P 2.5043 0.0011 13.6649
O -3.4051 1.1564 8.5941
O -0.8849 -1.2642 5.9625
O -2.8002 -2.3208 13.7295
O -3.5551 1.0970 11.1468
O 0.7011 -3.5271 8.5941
O -0.6524 1.3985 5.9625
O -1.5152 0.2282 9.9649
O 0.8275 -3.6273 11.1469
O -0.9303 -1.3275 12.3726
O 0.5599 -1.4263 9.9649
O 1.5373 -0.1343 5.9625
O -0.7034 -1.6025 14.9380
O -0.6845 1.4694 12.3726
O -1.5759 -0.2140 17.3613
O 0.9552 1.1981 9.9649
O -1.0361 1.4104 14.9380
O 1.6148 -0.1419 12.3726
O -0.6098 3.5854 13.7295
O 0.9733 -1.2578 17.3613
O 2.7040 2.3708 8.5941
O 1.7395 0.1921 14.9380
O 3.4100 -1.2646 13.7295
O 0.6026 1.4718 17.3613
O 2.7276 2.5303 11.1468
```

(2)
Diffraction record for K3Mn. The X-ray powder pattern is computed, not measured: it uses DFT lattice parameters and positions (GGA-PBE) and λ = 1.5418 Å (Cu Kα).
Lines closer than 0.1° are merged.

Largest 8 diffraction maxima, in order of falling intensity, 2θ = 10–90°:
2θ/deg  I (rel.)
26.93  100
31.19  50
52.95  38
44.69  33
71.73  14
73.90  13
55.50  11
88.60  10

```
4
Lattice="5.7354 0.0000 0.0000 0.0000 5.7354 0.0000 0.0000 0.0000 5.7354" Properties=species:S:1:pos:R:3 pbc="T T T"
K 0.0000 0.0000 2.8677
K 0.0000 2.8677 0.0000
K 2.8677 0.0000 0.0000
Mn 2.8677 2.8677 2.8677
```

(3)
Diffraction record for AsCSCl2F9. The X-ray powder pattern is computed, not measured: it uses DFT lattice parameters and positions (GGA-PBE) and λ = 1.5418 Å (Cu Kα).
Lines closer than 0.1° are merged.

Largest 8 diffraction maxima, in order of falling intensity, 2θ = 10–90°:
2θ/deg  I (rel.)
22.17  100
18.34  65
16.70  58
24.88  55
26.50  48
23.03  41
30.02  31
20.16  28

```
56
Lattice="7.8668 0.0000 0.0000 0.0000 9.6758 0.0000 -2.3631 0.0000 12.2327" Properties=species:S:1:pos:R:3 pbc="T T T"
As 1.3640 2.3721 0.8604
As 0.1825 2.4658 6.9768
As 5.3212 7.2100 5.2559
As 4.1397 7.3036 11.3723
C 2.7012 6.4775 1.4415
C 1.5196 8.0362 7.5578
C 3.9840 1.6396 4.6748
C 2.8025 3.1983 10.7912
S 0.8992 6.4998 2.3770
S -0.2823 8.0139 8.4933
S 5.7860 1.6619 3.7394
S 4.6045 3.1760 9.8557
Cl -0.3085 6.1332 9.0918
Cl 0.8730 8.3804 2.9755
Cl 1.3118 5.4432 3.9990
Cl 0.1302 9.0705 10.1153
Cl 5.3734 0.6053 2.1173
Cl 4.1919 4.2326 8.2337
Cl 4.6307 1.2953 9.2572
Cl 5.8122 3.5425 3.1409
F -1.0370 6.7366 6.0930
~~~

    Once done, you may write your answer in the next window that has appeared.

  10. At the bottom of the page, you will find the agenda list of every item for the event date.


  11. If you run into any issues on the platform and require a quick response, you can use the pink 'chat' bubble at the bottom of the browser to speak with our concierge team.



By following these instructions, you can now confidently use the 'Speaker Tools' function in the Evexus platform. If you have any additional questions, you can speak to the Support Desk on the day of your event through pink chat bubble.